Hong Kong Specialty Clinics

Hong Kong’s healthcare landscape is a vibrant mosaic, with specialty clinics playing a crucial role. In this guide, discover the top-rated clinics offering exceptional services in 2024, helping you make informed healthcare decisions.

hong kong specialty clinics services

What comes next are quantum chemistry results, not part of the article:
........
one.
Formula: C5H10S
Source: the Open Molecules 2025 dataset
Level of theory: ωB97M-V with the def2-TZVPD basis set

Atoms and positions in Å:
C -0.36964 -2.24361 -1.15916
C 0.22678 -0.86910 -1.34123
C 0.27534 -0.09492 -0.09378
C 0.06423 1.25126 0.11125
C 0.52439 1.89769 1.37013
S -0.92820 2.38890 2.42706
H -0.23052 -2.84151 -2.05332
H 0.23223 -2.72188 -0.38632
H -1.48877 -2.29712 -0.96329
H 1.14858 -0.90331 -1.93546
H -0.40136 -0.23143 -1.98382
H 0.65432 -0.71509 0.73285
H -0.31946 1.95874 -0.63379
H 0.92943 2.86972 1.14381
H 1.24516 1.27594 1.95641
H -1.56249 1.27572 2.80868

Summary:
HOMO energy ... -8.7 eV
Lowest unoccupied orbital energy ... 1.05 eV
Net charge ... 0
SMILES ... CC/C=C/CS



two.
Formula: C5H10S
Source: the Open Molecules 2025 dataset
Level of theory: ωB97M-V with the def2-TZVPD basis set

Atoms and positions in Å:
C 1.37977 -1.46920 -0.00833
C 0.70565 -0.16822 -0.54543
C -0.32963 0.45247 0.42387
C -0.69316 1.81830 -0.10977
C -1.44514 -0.54796 0.61186
S -2.73351 -0.80185 -0.30612
H 1.72917 -1.33941 0.99265
H 0.73508 -2.25608 -0.24609
H 2.24038 -1.69608 -0.64399
H 1.59039 0.54670 -0.67765
H 0.36471 -0.35919 -1.55248
H 0.18993 0.42120 1.43795
H 0.28729 2.38556 -0.24748
H -1.35709 2.34761 0.47508
H -1.06450 1.72629 -1.12798
H -1.59933 -1.06014 1.52391

Summary:
HOMO energy ... -8.6 eV
Lowest unoccupied orbital energy ... -0.06 eV
Net charge ... 0
SMILES ... CC[C@@H](C)C=S



three.
Formula: C5H10S
Source: the Open Molecules 2025 dataset
Level of theory: ωB97M-V with the def2-TZVPD basis set

Atoms and positions in Å:
C -1.85371 0.71355 -0.77600
C -1.02917 -0.52663 -0.75234
C 0.45803 -0.45705 -0.40061
C 0.77910 -0.50729 1.04564
C 2.00143 0.46699 0.92018
H -1.24938 1.47690 -1.34087
H -2.05256 1.06798 0.24209
H -2.80797 0.53886 -1.26947
H -1.04481 -0.98743 -1.71543
H -1.35565 -1.32851 -0.04481
H 1.00213 -1.35303 -0.80261
H 0.90219 -1.52256 1.46141
H -0.02611 0.07019 1.66020
H 2.95547 -0.04203 0.80006
H 2.00107 1.25226 1.62290
S 1.31994 1.13777 -0.65032

Summary:
HOMO energy ... -8.5 eV
Lowest unoccupied orbital energy ... 0.98 eV
Net charge ... 0



Relative energies in kcal/mol: one 3.7; two 5.9; three 0.0



one.
Formula: C26H30N4O5
Source: the Open Molecules 2025 dataset
Level of theory: ωB97M-V with the def2-TZVPD basis set

Atoms and positions in Å:
C -2.88645 3.42492 1.47293
C -2.28712 2.15778 0.94606
C -1.45537 1.38812 1.75020
C -0.85819 0.23780 1.27331
C -1.07185 -0.15667 -0.04450
N -0.47744 -1.30689 -0.57026
C 0.69652 -1.94456 -0.23163
O 0.77371 -3.15417 -0.39212
N 1.76259 -1.19973 0.17495
C 2.91618 -1.92411 0.67062
C 2.94561 -2.00051 2.20071
C 1.84013 -2.90739 2.75903
N 0.67298 -2.16705 3.22201
C -0.50556 -3.02452 3.24539
C -1.72066 -2.24933 3.75463
O -1.49118 -1.70210 5.03328
C -0.36127 -0.86281 5.01093
C 0.88515 -1.61852 4.55340
C 1.88290 0.24035 0.12284
C 1.30983 0.87647 -1.11257
C 1.28222 0.27902 -2.32516
C 0.68243 0.89961 -3.45989
C 0.62107 0.25955 -4.71401
C 0.00736 0.92489 -5.73466
C -0.55064 2.20315 -5.55536
........
Back to the article:

Top Specialty Clinics in Hong Kong

Hong Kong boasts some of the best specialty clinics in Asia. Among them, The Central Clinic stands out. Located in the heart of the city, it offers services in cardiology, dermatology, and more. Patients rave about the personalized care and state-of-the-art facilities. Meanwhile, Medihealth Clinic provides top-tier orthopedic and neurological treatments. Situated in Kowloon, it’s renowned for its experienced specialists and cutting-edge technology.

For those seeking gastroenterology or endocrinology services, Harbour Health Clinic in Wan Chai is a prime choice. With its team of highly skilled doctors and comprehensive care approach, it’s no wonder patients consistently leave glowing reviews. Each of these clinics has earned its reputation through unwavering dedication to patient care and innovative medical practices.

Types of Specialty Services Available

Data records, as found in the file.
- - -
{
  "formula": "C5H14N2O",
  "method": "the ωB97M-V functional and the def2-TZVPD basis",
  "species": ["N", "C", "N", "C", "C", "C", "C", "O", "H", "H", "H", "H", "H", "H", "H", "H", "H", "H", "H", "H", "H", "H"],
  "xyz": [[1.895, 2.563, -1.138], [0.488, 2.837, -1.247], [-0.414, 1.742, -0.848], [-0.093, 0.780, 0.191], [-0.273, -0.656, -0.274], [0.404, -1.687, 0.658], [-0.477, -2.545, 1.547], [-1.703, -2.978, 0.951], [2.135, 1.710, -1.624], [2.223, 2.554, -0.182], [0.302, 3.068, -2.286], [0.278, 3.735, -0.649], [-1.365, 2.065, -0.907], [-0.673, 0.981, 1.090], [0.960, 0.918, 0.418], [-1.316, -0.933, -0.334], [0.188, -0.755, -1.243], [1.164, -1.249, 1.323], [1.070, -2.346, 0.084], [0.036, -3.446, 1.907], [-0.771, -2.013, 2.451], [-1.622, -3.023, -0.013]],
  "smiles": "NCNCCCCO",
  "relative_energy_kj_mol": 215.93,
  "spin_multiplicity": 1,
  "e_homo_ev": -8.41,
  "e_tot_ha": -383.61846,
  "charge": 0,
  "lumo_energy_ev": 0.97
}

***

{
  "formula": "C5H14N2O",
  "method": "the ωB97M-V functional and the def2-TZVPD basis",
  "species": ["N", "C", "C", "C", "C", "C", "N", "H", "H", "H", "H", "H", "H", "H", "H", "H", "H", "H", "H", "O", "H", "H"],
  "xyz": [[1.769, -1.508, 0.682], [1.365, -0.631, -0.388], [0.884, 0.730, 0.128], [-0.161, 0.641, 1.257], [-1.390, 1.388, 0.728], [-1.204, 1.358, -0.788], [0.231, 1.431, -0.990], [2.528, -1.129, 1.221], [1.783, -2.479, 0.427], [0.530, -0.995, -0.977], [2.115, -0.448, -1.166], [1.722, 1.337, 0.476], [0.109, 1.072, 2.217], [-0.388, -0.407, 1.426], [-2.311, 0.938, 1.111], [-1.491, 2.424, 1.061], [-1.705, 2.148, -1.341], [-1.586, 0.380, -1.113], [0.619, 2.351, -1.121], [-1.298, -2.527, -0.447], [-1.101, -2.032, -1.253], [-1.886, -3.211, -0.793]],
  "smiles": "NC[C@@H]1CCCN1.O",
  "relative_energy_kj_mol": 167.99,
  "spin_multiplicity": 1,
  "e_homo_ev": -8.51,
  "e_tot_ha": -383.63672,
  "charge": 0,
  "lumo_energy_ev": 0.79
}

***

{
  "formula": "C5H14N2O",
  "method": "the ωB97M-V functional and the def2-TZVPD basis",
  "species": ["C", "C", "C", "C", "O", "H", "H", "H", "H", "H", "H", "H", "H", "N", "C", "N", "H", "H", "H", "H", "H", "H"],
  "xyz": [[0.880, -1.951, -0.975], [0.277, -0.572, -1.089], [0.750, 0.507, -0.319], [2.007, 0.451, 0.516], [0.661, 1.776, -0.903], [0.192, -2.701, -1.370], [1.832, -2.038, -1.511], [1.071, -2.238, 0.059], [-0.082, -0.315, -2.083], [2.890, 0.605, -0.110], [1.990, 1.244, 1.267], [2.118, -0.509, 1.025], [-0.218, 2.011, -1.216], [-1.889, -0.723, 0.451], [-1.513, 0.375, 1.192], [-2.141, 1.601, 0.808], [-1.306, -0.668, -0.581], [-1.790, -1.592, 0.964], [-1.496, 0.250, 2.280], [-0.279, 0.517, 0.810], [-1.544, 2.405, 0.952], [-2.413, 1.565, -0.167]],
  "smiles": "C/C=C(\\C)O.NCN",
  "relative_energy_kj_mol": 402.48,
  "spin_multiplicity": 1,
  "e_homo_ev": -7.74,
  "e_tot_ha": -383.54741,
  "charge": 0,
  "lumo_energy_ev": 0.85
}

***

{
  "formula": "C5H14N2O",
  "method": "the ωB97M-V functional and the def2-TZVPD basis",
- - -

Hong Kong’s specialty clinics offer a wide array of services catering to diverse medical needs. In the realm of cardiology, clinics provide advanced diagnostics and treatments for heart conditions. From stress tests to angioplasty, these facilities are equipped to handle complex cardiac issues.

Dermatology services are equally comprehensive. Clinics offer treatments for skin disorders, cosmetic procedures, and allergy testing. Many dermatologists in Hong Kong utilize the latest laser technology for skin rejuvenation and acne treatment, ensuring patients receive top-notch care.

'''
{"formula": "C37H34BBrN13O3Y", "method": "the ωB97M-V functional and the def2-TZVPD basis", "species": ["Y", "C", "C", "C", "C", "N", "N", "B", "N", "C", "C", "C", "C", "N", "N", "C", "C", "C", "C", "N", "N", "C", "C", "C", "C", "N", "H", "H", "H", "H", "H", "H", "H", "H", "H", "H", "H", "H", "H", "H", "H", "H", "H", "H", "H", "H", "O", "N", "O", "C", "C", "C", "C", "C", "C", "N", "C", "C", "N", "C", "C", "C", "C", "H", "H", "H", "H", "H", "H", "H", "O", "C", "C", "C", "C", "C", "C", "C", "N", "C", "C", "N", "H", "H", "H", "H", "H", "H", "H", "Br"], "positions_angstrom": [[-0.87871, -0.18261, -0.46998], [-2.42251, 1.21179, 2.85552], [-1.36041, 1.99229, 2.16982], [-0.72651, 3.12719, 2.68592], [0.09239, 3.56859, 1.67512], [-0.05091, 2.74599, 0.62142], [-0.93141, 1.76329, 0.92462], [0.50309, 2.97809, -0.81258], [-0.65431, 2.82089, -1.82558], [-1.05401, 3.69759, -2.76448], [-2.05361, 3.11769, -3.50668], [-2.21451, 1.83679, -2.96438], [-3.16951, 0.79379, -3.41668], [-1.36201, 1.67089, -1.95078], [1.55249, 1.90179, -1.17028], [2.84259, 2.05739, -1.51768], [3.26149, 0.91429, -2.15708], [2.13779, 0.07899, -2.18798], [1.99509, -1.18591, -2.96068], [1.12449, 0.66759, -1.55168], [1.04119, 4.39299, -0.86108], [0.30019, 5.51129, -0.64548], [1.14539, 6.59079, -0.65598], [2.42399, 6.04729, -0.89258], [3.72099, 6.75659, -1.00708], [2.32639, 4.73419, -0.99838], [-2.26361, 1.22749, 3.93132], [-3.38741, 1.67729, 2.65362], [-2.47501, 0.18509, 2.50542], [-0.86251, 3.56119, 3.65462], [0.76189, 4.40519, 1.65512], [-0.60691, 4.66559, -2.86578], [-2.59351, 3.54539, -4.32538], [-3.38671, 0.92259, -4.47408], [-2.75761, -0.19921, -3.24478], [-4.10931, 0.87869, -2.86958], [3.34759, 2.98169, -1.31188], [4.22579, 0.71689, -2.57688], [2.62009, -1.98111, -2.55488], [0.95279, -1.50001, -2.99008], [2.32189, -1.00011, -3.98408], [-0.75851, 5.45599, -0.48868], [0.89129, 7.62039, -0.51928], [3.58249, 7.82359, -0.86458], [4.42039, 6.38559, -0.26078], [4.16269, 6.58389, -1.98618], [0.43829, -4.03341, 6.73442], [-0.43531, -3.97771, 5.90272], [-1.44971, -4.63121, 5.92662], [-0.21211, -3.04831, 4.79542], [0.92469, -2.30391, 4.87692], [1.26579, -1.36031, 3.87972], [2.42689, -0.57401, 3.96462], [2.68799, 0.32959, 2.96662], [1.79199, 0.42829, 1.89852], [0.70639, -0.31091, 1.77882], [0.43169, -1.20211, 2.74982], [-0.73761, -2.03581, 2.62092], [-1.44901, -1.93581, 1.48002], [-2.53951, -2.66851, 1.34952], [-3.04361, -3.47731, 2.37012], [-2.31871, -3.61771, 3.52882], [-1.09751, -2.92841, 3.66892], [1.58499, -2.43081, 5.72302], [3.09889, -0.69021, 4.79952], [3.55939, 0.96119, 3.00522], [1.99399, 1.13109, 1.10162], [-3.06811, -2.59591, 0.40782], [-3.99301, -3.97531, 2.24332], [-2.67991, -4.25331, 4.32132], [-1.62631, -1.71081, -1.93378], [-1.61351, -2.88501, -2.43148], [-2.59891, -3.25901, -3.39758], [-2.55591, -4.46591, -4.03728], [-1.55161, -5.38921, -3.73088], [-0.61891, -5.09261, -2.75848], [-0.61751, -3.87101, -2.08068], [0.40549, -3.56731, -1.10968], [0.65829, -2.38581, -0.54258], [1.81649, -2.54281, 0.15222], [2.25489, -3.83201, 0.05832], [1.35769, -4.47061, -0.73488], [-3.37731, -2.54381, -3.62078], [-3.29271, -4.70881, -4.78658], [-1.50971, -6.33311, -4.25248], [0.13709, -5.83161, -2.54258], [2.30589, -1.73111, 0.64892], [3.10909, -4.32121, 0.47782], [1.41029, -5.44341, -0.99128], [-3.65481, 0.02059, -0.17878]], "energy_ev": -136198.1824, "s_squared": 0.792, "de_lowest_kcal_mol": 19.39, "homo_ev": [-10.75, -10.74], "gap_ev": [7.2, 4.7], "spin_multiplicity": 2, "total_charge": 1}
'''
[Here the piece continues]

In orthopedics, clinics address issues related to bones, joints, and muscles. Treatments range from arthroscopy and joint replacement to sports injury rehabilitation. The focus is on restoring mobility and alleviating pain through minimally invasive procedures and personalized rehabilitation plans.

Neurology services cater to patients with conditions affecting the brain and nervous system. Clinics offer comprehensive neurological assessments, MRI scans, and treatments for epilepsy, Parkinson’s, and other disorders. The goal is to provide effective management and improve patients’ quality of life.

How to Choose the Right Specialty Clinic

Selecting the right specialty clinic can be daunting. Start by considering the clinic’s reputation. Look for patient reviews and testimonials to gauge the quality of care. Clinics like The Central Clinic and Harbour Health Clinic are known for their high satisfaction rates and positive patient outcomes.

Location is another key factor. Opt for clinics that are easily accessible, especially if frequent visits are necessary. For instance, Medihealth Clinic in Kowloon is ideal for those living in the area due to its central location.

Evaluate the clinic’s specialties. Ensure the clinic offers the specific services you need. Clinics with a wide range of specialties, like The Central Clinic, provide a one-stop solution for multiple healthcare needs.

Consider the qualifications and experience of the medical staff. Top clinics boast specialists with extensive training and years of experience. Clinics such as Harbour Health Clinic often highlight their doctors’ credentials and ongoing education in their fields.

Finally, assess the clinic’s facilities and technology. Modern, well-equipped clinics offer better diagnostics and treatment options. Facilities like Medihealth Clinic pride themselves on their cutting-edge technology, enhancing the patient experience and care outcomes.

Practical Information and Tips

When planning a visit to a specialty clinic in Hong Kong, practical details are essential. Most clinics, like The Central Clinic, offer online appointment booking through their websites, making it easy to schedule consultations. They also provide clear information about operating hours and services.

Consider clinic location and transport options. Clinics in central areas, such as Medihealth Clinic in Kowloon, are easily accessible by public transport. Parking availability can also be a deciding factor for some patients.

For first-time visitors, it’s advisable to bring all necessary medical records and a list of current medications. This helps the doctors provide comprehensive care and tailor treatment plans effectively. Additionally, some clinics offer multilingual services, catering to the diverse population of Hong Kong.

Understanding payment methods and insurance coverage is also crucial. Many top clinics accept a range of insurance plans, and some offer direct billing services. Clarifying these details beforehand can prevent any surprises and ensure a smooth visit.